Cybersecurity Trends for Advisors

Cybersecurity Trends for Financial Advisors

 Is Your Firm Up to Speed?

Cybersecurity has and will continue to be a primary concern for advisors and advisory firms, especially solo-practitioners. The firms that do not take the appropriate measures risk the potential for a breach, or worse. What we will look to share in this week’s blog is what steps other firms are taking and what those firms who are not equipped to handle it internally can do.

In the world of cybercriminal phishing, advisory firms are viewed as whales. You can well imagine why, given the amount of information and wealth that could be fraudulently obtained should a breach occur.

Imagine the advisory industry as one large parking lot with all advisory firms as vehicles parked in that lot. Now, in every parking lot, there is the danger of your vehicle being broken into or stolen. A cybercriminal is the equivalent of the thief walking through a parking lot full of cars looking for the largest but also the easiest target. Did you leave any valuables in plain view? Or worse, did you leave the doors unlocked entirely? The vehicles that are more difficult to get into (locked, alarm, etc.) are less likely to be victimized because criminals will gravitate to the easier targets.

I think you get the picture. And it is not a pretty one. Craig Morningstar, COO/CISO at Dynamic Advisor Solutions, pointed out that “…many advisory firms can be exposed from a cybersecurity standpoint with the technology they use.” He added that some firms simply do not have the expertise within their staff to address the ever-changing environment.

To get an idea of what trends exist in the industry now, you may want to read an article posted to Investment News earlier this week. You can find the article here.

What do firms do that recognize they do not have the expertise to keep up with the evolving cybersecurity environment? Of course, one way is to outsource to vendors but as Mr. Morningstar clarified, “…’vendors’ does not necessarily equal responsibility.”

-- Records of crystals that have nothing to do with the page --
┌──
Calculated XRD peak list
Compound: K2Zn5Pb3
Radiation: Cu Kα
Structure: a structure optimized by DFT (GGA-PBE)

Atomic structure:
```
K2Zn5Pb3
1.0
-2.599 2.599 10.370
2.599 -2.599 10.370
2.599 2.599 -10.370
K Zn Pb
2 5 3
direct
0.185 0.185 0.000
0.815 0.815 0.000
0.068 0.568 0.500
0.432 0.932 0.500
0.500 0.500 0.000
0.568 0.068 0.500
0.932 0.432 0.500
0.000 0.000 0.000
0.365 0.365 0.000
0.635 0.635 0.000
```

Top 10 peaks for 2θ from 15° to 90°, in order of rising 2θ:
- d 4.154, 21.4 deg, rel. 81
- d 3.675, 24.2 deg, rel. 46
- d 3.242, 27.5 deg, rel. 45
- d 2.598, 34.5 deg, rel. 95
- d 2.518, 35.7 deg, rel. 100
└──
-- Back to the page --

“One of the key security measures utilized by Dynamic is to have an integrated system where all of the wealth manager’s services, records, and functions operate within a secure “airtight” environment. Wealth360, the cloud-based platform operated by Dynamic, enables its internet security team to oversee the overall cybersecurity efforts like recurring cyber education and audits to further reduce the possibility of a breach. In this way, Dynamic seeks to be a ‘partner for success’ with the wealth manager or RIA firm in their end-to-end integrated business system rather than just a vendor providing a single, non-comprehensive solution,” says Jim Palumbo, Chief Development Officer.

In the event that a breach did occur, it is vital to have procedures in place to address the breach and minimize exposure.

What we all want to avoid is being in the position of having to notify clients of a breach. There are very few things that could be more damaging to your business.

About Dynamic Wealth Advisors 

-- Between two parts of the entry: records of crystals --
........
Zr2GeS2: computed X-ray diffraction stick pattern (Cu Kα (λ = 1.5418 Å)), based on a structure optimized by DFT (PBE).

Crystal structure
```
data_Zr2GeS2
_symmetry_space_group_name_H-M 'P 1'
_symmetry_Int_Tables_number 1
_symmetry_space_group_name_Hall 'P 1'
_cell_length_a 7.4213
_cell_length_b 7.4213
_cell_length_c 3.3172
_cell_angle_alpha 90.00
_cell_angle_beta 90.00
_cell_angle_gamma 90.00
loop_
_atom_site_label
_atom_site_fract_x
_atom_site_fract_y
_atom_site_fract_z
_atom_site_occupancy
Zr1 0.1536 0.3464 0.0000 1
Zr2 0.3464 0.8464 0.0000 1
Zr3 0.6536 0.1536 0.0000 1
Zr4 0.8464 0.6536 0.0000 1
Ge1 0.0000 0.0000 0.0000 1
Ge2 0.5000 0.5000 0.0000 1
S1 0.1347 0.6347 0.5000 1
S2 0.3653 0.1347 0.5000 1
S3 0.6347 0.8653 0.5000 1
S4 0.8653 0.3653 0.5000 1
```

The 10 most intense peaks (10° ≤ 2θ ≤ 80°), by angle:
3.318 Å, I = 39
2.624 Å, I = 6
2.346 Å, I = 100
1.916 Å, I = 19
1.749 Å, I = 7
1.659 Å, I = 12
1.582 Å, I = 6
1.484 Å, I = 9
1.354 Å, I = 13
1.273 Å, I = 12

=====

Ge3Sb2: computed X-ray diffraction stick pattern (Cu Kα (λ = 1.5418 Å)), based on a structure optimized by DFT (PBE).

Crystal structure
```
data_Ge3Sb2
_symmetry_space_group_name_H-M 'P 1'
_symmetry_Int_Tables_number 1
_symmetry_space_group_name_Hall 'P 1'
_cell_length_a 6.9254
_cell_length_b 6.9254
_cell_length_c 6.9254
_cell_angle_alpha 65.34
_cell_angle_beta 65.34
_cell_angle_gamma 65.34
loop_
_atom_site_label
_atom_site_fract_x
_atom_site_fract_y
_atom_site_fract_z
_atom_site_occupancy
Ge1 0.0086 0.2500 0.4914 1
Ge2 0.2500 0.4914 0.0086 1
Ge3 0.4914 0.0086 0.2500 1
Ge4 0.5086 0.9914 0.7500 1
Ge5 0.7500 0.5086 0.9914 1
Ge6 0.9914 0.7500 0.5086 1
Sb1 0.1100 0.1100 0.1100 1
Sb2 0.3900 0.3900 0.3900 1
Sb3 0.6100 0.6100 0.6100 1
Sb4 0.8900 0.8900 0.8900 1
```

The 10 most intense peaks (10° ≤ 2θ ≤ 80°), by angle:
3.738 Å, I = 79
3.441 Å, I = 42
3.076 Å, I = 64
2.708 Å, I = 47
2.532 Å, I = 82
2.420 Å, I = 40
2.158 Å, I = 49
2.096 Å, I = 100
1.938 Å, I = 28
1.413 Å, I = 33

=====

Sc6GeSb2Se3: computed X-ray diffraction stick pattern (Cu Kα (λ = 1.5418 Å)), based on a structure optimized by DFT (PBE).

Crystal structure
```
data_Sc6GeSb2Se3
_symmetry_space_group_name_H-M 'P 1'
_symmetry_Int_Tables_number 1
_symmetry_space_group_name_Hall 'P 1'
_cell_length_a 8.9312
_cell_length_b 8.9312
_cell_length_c 7.9996
_cell_angle_alpha 103.07
_cell_angle_beta 103.07
_cell_angle_gamma 25.68
loop_
_atom_site_label
_atom_site_fract_x
_atom_site_fract_y
_atom_site_fract_z
_atom_site_occupancy
Sc1 0.0025 0.0025 0.2656 1
Sc2 0.3392 0.3392 0.9080 1
Sc3 0.3409 0.3409 0.4289 1
Sc4 0.6591 0.6591 0.5711 1
Sc5 0.6608 0.6608 0.0920 1
Sc6 0.9975 0.9975 0.7344 1
Ge1 0.5000 0.5000 0.5000 1
Sb1 0.1679 0.1679 0.8357 1
Sb2 0.8321 0.8321 0.1643 1
Se1 0.1684 0.1684 0.3358 1
Se2 0.5000 0.5000 0.0000 1
Se3 0.8316 0.8316 0.6642 1
```

The 10 most intense peaks (10° ≤ 2θ ≤ 80°), by angle:
3.264 Å, I = 12
3.248 Å, I = 12
2.820 Å, I = 100
1.997 Å, I = 35
1.993 Å, I = 23
1.985 Å, I = 12
1.624 Å, I = 12
........

Dynamic is recognized as a premier provider of essential resources to professional wealth management practices. Its turnkey practice platform includes asset management and enables wealth advisors to save money and focus on clients while positioning themselves for success and growth. With myVirtualPractice, a suite of wealth management practice solutions, Dynamic hands the professional wealth advisor the keys to a comprehensive, custom-built virtual office and practice complete with staff, back/middle office, accounting/billing, compliance and even a Virtual Assistant. The wealth advisor need only add clients and a laptop, and they are up-and-running instantly. For many breakaways and independent wealth advisors, being part of a nationwide community of like-minded professionals is one of the most valuable components of their affiliation with Dynamic.